File:
=====
For TbNd8Dy4, a crystal structure in Alexandria, relaxed with PBE gives the theoretical X-ray powder pattern in this record (Cu Kα (weighted mean of Kα1 and Kα2)).
Intensities are scaled so that the largest is 100.

Main lines, low angle first (2θ from 5° to 70°):
two_theta	I/Imax
26.04	7
27.91	24
28.30	15
30.80	100
32.22	33
34.22	9
37.81	32
49.78	28
50.26	13
58.03	17
59.69	13
63.97	7

Structural model:
a b c (Å): 10.482 10.482 10.482
angles (deg): 40.91 40.91 40.91
Positions (direct):
Tb (0.000, 0.000, 0.000)
Nd (0.252, 0.252, 0.704)
Nd (0.252, 0.704, 0.252)
Nd (0.287, 0.287, 0.287)
Nd (0.296, 0.748, 0.748)
Nd (0.704, 0.252, 0.252)
Nd (0.713, 0.713, 0.713)
Nd (0.748, 0.296, 0.748)
Nd (0.748, 0.748, 0.296)
Dy (0.000, 0.000, 0.500)
Dy (0.000, 0.500, 0.000)
Dy (0.500, 0.000, 0.000)
Dy (0.500, 0.500, 0.500)


# 1
Computed powder diffractogram
Compound: NaTb3
Radiation: Cu Ka
Structure: a crystal structure in the Materials Project, relaxed with PBE

```
data_NaTb3
_space_group_name_H-M_alt 'F m -3 m'
_space_group_IT_number 225
_space_group_name_Hall '-F 4 2 3'
_cell_length_a 7.982
_cell_length_b 7.982
_cell_length_c 7.982
_cell_angle_alpha 90.00
_cell_angle_beta 90.00
_cell_angle_gamma 90.00
loop_
_atom_site_label
_atom_site_type_symbol
_atom_site_fract_x
_atom_site_fract_y
_atom_site_fract_z
Na1 Na 0.000 0.000 0.000
Tb1 Tb 0.000 0.000 0.500
Tb2 Tb 0.250 0.250 0.250
```

Principal peaks in the range 2θ = 10–80°, low angle first:
| 2θ (°) | Rel. int. |
| --- | --- |
| 19.26 | 162 |
| 22.27 | 86 |
| 31.71 | 1000 |
| 37.36 | 92 |
| 45.45 | 185 |
| 49.79 | 41 |
| 51.18 | 38 |
| 56.48 | 388 |
| 66.23 | 120 |
| 75.30 | 165 |

---

# 2
Computed powder diffractogram
Compound: NaTb3
Radiation: Cu Ka
Structure: a crystal structure in the Materials Project, relaxed with PBE

```
data_NaTb3
_space_group_name_H-M_alt 'P 63/m m c'
_space_group_IT_number 194
_space_group_name_Hall '-P 6c 2c'
_cell_length_a 7.2302
_cell_length_b 7.2302
_cell_length_c 5.7705
_cell_angle_alpha 90.00
_cell_angle_beta 90.00
_cell_angle_gamma 120.00
loop_
_atom_site_label
_atom_site_type_symbol
_atom_site_fract_x
_atom_site_fract_y
_atom_site_fract_z
Na1 Na 0.3333 0.6667 0.2500
Tb1 Tb 0.1641 0.3282 0.7500
```

Principal peaks in the range 2θ = 10–80°, low angle first:
| 2θ (°) | Rel. int. |
| --- | --- |
| 14.14 | 111 |
| 20.93 | 196 |
| 28.51 | 235 |
| 30.99 | 253 |
| 32.54 | 1000 |
| 42.61 | 159 |
| 50.49 | 193 |
| 56.12 | 212 |
| 60.44 | 225 |
| 61.37 | 161 |

---

# 3
Computed powder diffractogram
Compound: NaTbTl2
Radiation: Cu Ka
Structure: a crystal structure in the Materials Project, relaxed with PBE

```
data_NaTbTl2
_space_group_name_H-M_alt 'F m -3 m'
_space_group_IT_number 225
_space_group_name_Hall '-F 4 2 3'
_cell_length_a 7.613
_cell_length_b 7.613
_cell_length_c 7.613
_cell_angle_alpha 90.00
_cell_angle_beta 90.00
_cell_angle_gamma 90.00
loop_
_atom_site_label
_atom_site_type_symbol
_atom_site_fract_x
_atom_site_fract_y
_atom_site_fract_z
Na1 Na 0.000 0.000 0.000
Tb1 Tb 0.000 0.000 0.500
Tl1 Tl 0.250 0.250 0.250
```

Principal peaks in the range 2θ = 10–80°, low angle first:
| 2θ (°) | Rel. int. |
| --- | --- |
| 20.20 | 121 |
| 23.37 | 166 |
| 33.29 | 1000 |
| 39.25 | 67 |
| 41.07 | 53 |
| 47.79 | 184 |
| 53.85 | 75 |
| 59.48 | 384 |
| 69.89 | 119 |
| 79.65 | 166 |

---

# 4
Computed powder diffractogram
Compound: NaTc3
Radiation: Cu Ka
Structure: a crystal structure in the Materials Project, relaxed with PBE

```
data_NaTc3
_space_group_name_H-M_alt 'F m -3 m'
_space_group_IT_number 225
_space_group_name_Hall '-F 4 2 3'
_cell_length_a 6.224
_cell_length_b 6.224
_cell_length_c 6.224
_cell_angle_alpha 90.00
_cell_angle_beta 90.00
_cell_angle_gamma 90.00
loop_
_atom_site_label
_atom_site_type_symbol
_atom_site_fract_x
_atom_site_fract_y
_atom_site_fract_z
Na1 Na 0.000 0.000 0.000
Tc1 Tc 0.000 0.000 0.500
Tc2 Tc 0.250 0.250 0.250
```

Principal peaks in the range 2θ = 10–80°, low angle first:
| 2θ (°) | Rel. int. |
| --- | --- |
| 24.78 | 142 |
=====

Assignment:
Restate the whole of the data further above exactly, please.

Solution:
For TbNd8Dy4, a crystal structure in Alexandria, relaxed with PBE gives the theoretical X-ray powder pattern in this record (Cu Kα (weighted mean of Kα1 and Kα2)).
Intensities are scaled so that the largest is 100.

Main lines, low angle first (2θ from 5° to 70°):
two_theta	I/Imax
26.04	7
27.91	24
28.30	15
30.80	100
32.22	33
34.22	9
37.81	32
49.78	28
50.26	13
58.03	17
59.69	13
63.97	7

Structural model:
a b c (Å): 10.482 10.482 10.482
angles (deg): 40.91 40.91 40.91
Positions (direct):
Tb (0.000, 0.000, 0.000)
Nd (0.252, 0.252, 0.704)
Nd (0.252, 0.704, 0.252)
Nd (0.287, 0.287, 0.287)
Nd (0.296, 0.748, 0.748)
Nd (0.704, 0.252, 0.252)
Nd (0.713, 0.713, 0.713)
Nd (0.748, 0.296, 0.748)
Nd (0.748, 0.748, 0.296)
Dy (0.000, 0.000, 0.500)
Dy (0.000, 0.500, 0.000)
Dy (0.500, 0.000, 0.000)
Dy (0.500, 0.500, 0.500)


# 1
Computed powder diffractogram
Compound: NaTb3
Radiation: Cu Ka
Structure: a crystal structure in the Materials Project, relaxed with PBE

```
data_NaTb3
_space_group_name_H-M_alt 'F m -3 m'
_space_group_IT_number 225
_space_group_name_Hall '-F 4 2 3'
_cell_length_a 7.982
_cell_length_b 7.982
_cell_length_c 7.982
_cell_angle_alpha 90.00
_cell_angle_beta 90.00
_cell_angle_gamma 90.00
loop_
_atom_site_label
_atom_site_type_symbol
_atom_site_fract_x
_atom_site_fract_y
_atom_site_fract_z
Na1 Na 0.000 0.000 0.000
Tb1 Tb 0.000 0.000 0.500
Tb2 Tb 0.250 0.250 0.250
```

Principal peaks in the range 2θ = 10–80°, low angle first:
| 2θ (°) | Rel. int. |
| --- | --- |
| 19.26 | 162 |
| 22.27 | 86 |
| 31.71 | 1000 |
| 37.36 | 92 |
| 45.45 | 185 |
| 49.79 | 41 |
| 51.18 | 38 |
| 56.48 | 388 |
| 66.23 | 120 |
| 75.30 | 165 |

---

# 2
Computed powder diffractogram
Compound: NaTb3
Radiation: Cu Ka
Structure: a crystal structure in the Materials Project, relaxed with PBE

```
data_NaTb3
_space_group_name_H-M_alt 'P 63/m m c'
_space_group_IT_number 194
_space_group_name_Hall '-P 6c 2c'
_cell_length_a 7.2302
_cell_length_b 7.2302
_cell_length_c 5.7705
_cell_angle_alpha 90.00
_cell_angle_beta 90.00
_cell_angle_gamma 120.00
loop_
_atom_site_label
_atom_site_type_symbol
_atom_site_fract_x
_atom_site_fract_y
_atom_site_fract_z
Na1 Na 0.3333 0.6667 0.2500
Tb1 Tb 0.1641 0.3282 0.7500
```

Principal peaks in the range 2θ = 10–80°, low angle first:
| 2θ (°) | Rel. int. |
| --- | --- |
| 14.14 | 111 |
| 20.93 | 196 |
| 28.51 | 235 |
| 30.99 | 253 |
| 32.54 | 1000 |
| 42.61 | 159 |
| 50.49 | 193 |
| 56.12 | 212 |
| 60.44 | 225 |
| 61.37 | 161 |

---

# 3
Computed powder diffractogram
Compound: NaTbTl2
Radiation: Cu Ka
Structure: a crystal structure in the Materials Project, relaxed with PBE

```
data_NaTbTl2
_space_group_name_H-M_alt 'F m -3 m'
_space_group_IT_number 225
_space_group_name_Hall '-F 4 2 3'
_cell_length_a 7.613
_cell_length_b 7.613
_cell_length_c 7.613
_cell_angle_alpha 90.00
_cell_angle_beta 90.00
_cell_angle_gamma 90.00
loop_
_atom_site_label
_atom_site_type_symbol
_atom_site_fract_x
_atom_site_fract_y
_atom_site_fract_z
Na1 Na 0.000 0.000 0.000
Tb1 Tb 0.000 0.000 0.500
Tl1 Tl 0.250 0.250 0.250
```

Principal peaks in the range 2θ = 10–80°, low angle first:
| 2θ (°) | Rel. int. |
| --- | --- |
| 20.20 | 121 |
| 23.37 | 166 |
| 33.29 | 1000 |
| 39.25 | 67 |
| 41.07 | 53 |
| 47.79 | 184 |
| 53.85 | 75 |
| 59.48 | 384 |
| 69.89 | 119 |
| 79.65 | 166 |

---

# 4
Computed powder diffractogram
Compound: NaTc3
Radiation: Cu Ka
Structure: a crystal structure in the Materials Project, relaxed with PBE

```
data_NaTc3
_space_group_name_H-M_alt 'F m -3 m'
_space_group_IT_number 225
_space_group_name_Hall '-F 4 2 3'
_cell_length_a 6.224
_cell_length_b 6.224
_cell_length_c 6.224
_cell_angle_alpha 90.00
_cell_angle_beta 90.00
_cell_angle_gamma 90.00
loop_
_atom_site_label
_atom_site_type_symbol
_atom_site_fract_x
_atom_site_fract_y
_atom_site_fract_z
Na1 Na 0.000 0.000 0.000
Tc1 Tc 0.000 0.000 0.500
Tc2 Tc 0.250 0.250 0.250
```

Principal peaks in the range 2θ = 10–80°, low angle first:
| 2θ (°) | Rel. int. |
| --- | --- |
| 24.78 | 142 |